Debugging Tools for Windows


The GetModuleNameString and GetModuleNameStringWide methods return the name of the specified module.

    IN ULONG  Which,
    IN ULONG  Index,
    IN ULONG64  Base,
    IN ULONG  BufferSize,

    IN ULONG  Which,
    IN ULONG  Index,
    IN ULONG64  Base,
    IN ULONG  BufferSize,

#ifdef UNICODE
#define GetModuleNameStringT GetModuleNameStringWide
#define GetModuleNameStringT GetModuleNameString


Specifies which of the module's names to return, possible values are:
Value Description
DEBUG_MODNAME_IMAGE The image name. This is the name of the executable file, including the extension. Typically, the full path is included in user mode but not in kernel mode.
DEBUG_MODNAME_MODULE The module name. This is usually just the file name without the extension. In a few cases, the module name differs significantly from the file name. For details, see Executable Image Path.
DEBUG_MODNAME_LOADED_IMAGE The loaded image name. Unless Microsoft® CodeView® symbols are present, this is the same as the image name.
DEBUG_MODNAME_SYMBOL_FILE The symbol file name. The path and name of the symbol file. If no symbols have been loaded, this is the name of the executable file instead.
DEBUG_MODNAME_MAPPED_IMAGE The mapped image name. In most cases, this is NULL. If the debugger is mapping an image file (for example, during minidump debugging), this is the name of the mapped image.

The text is interrupted by calculated crystals =
/*
Model 1:
## La2HI (PBE-GGA)

Data for a relaxed structure of La2HI.

Output
volume	26.31	A^3/atom

Cell: 3.8979 3.8979 23.9978 Å, 90.00 90.00 120.00°
Sites, in units of the cell vectors:
La  0.0000  0.0000  0.2277
La  0.0000  0.0000  0.7723
La  0.3333  0.6667  0.4390
La  0.3333  0.6667  0.8944
La  0.6667  0.3333  0.1056
La  0.6667  0.3333  0.5610
H  0.0000  0.0000  0.5000
H  0.3333  0.6667  0.1667
H  0.6667  0.3333  0.8333
I  0.0000  0.0000  0.0000
I  0.3333  0.6667  0.6667
I  0.6667  0.3333  0.3333

***

Model 2:
## La2HI (PBE-GGA)

Data for a relaxed structure of La2HI.

Output
volume	26.28	A^3/atom

Cell: 7.5324 7.5324 7.4109 Å, 90.00 90.00 90.00°
Sites, in units of the cell vectors:
La  0.1441  0.2500  0.1250
La  0.2500  0.6441  0.3750
La  0.2500  0.8559  0.8750
La  0.3559  0.2500  0.6250
La  0.6441  0.7500  0.6250
La  0.7500  0.1441  0.8750
La  0.7500  0.3559  0.3750
La  0.8559  0.7500  0.1250
H  0.0000  0.0000  0.0000
H  0.0000  0.5000  0.2500
H  0.5000  0.0000  0.7500
H  0.5000  0.5000  0.5000
I  0.0000  0.0000  0.5000
I  0.0000  0.5000  0.7500
I  0.5000  0.0000  0.2500
I  0.5000  0.5000  0.0000

***

Stability ranking, top entry: model 1; the second entry is 76 meV per atom less favorable.

~~~~~

1.
Below is Tm4ScRh3 after structural relaxation, with properties calculated at the GGA-PBE level.

Properties
Calculated total energy in eV for the cell shown: -209.75

abc: 10.800 10.800 5.910
angles: 90.00 90.00 90.00
Space group I4/mcm (No. 140)
One atom of each set of equivalent atoms:
Tm 0.080 0.213 0.000
Sc 0.000 0.500 0.250
Rh 0.000 0.000 0.250
Rh 0.152 0.348 0.500

2.
Below is Tm3ScRh2 after structural relaxation, with properties calculated at the GGA-PBE level.

Properties
Relative energy among the computed polymorphs in kJ/mol of formula units: 11

abc: 6.507 13.184 6.960
angles: 90.00 90.00 90.00
Space group Ibam (No. 72)
One atom of each set of equivalent atoms:
Tm 0.000 0.000 0.250
Tm 0.000 0.272 0.250
Sc 0.000 0.500 0.000
Rh 0.215 0.136 0.000

3.
Below is Tm4ScRh after structural relaxation, with properties calculated at the GGA-PBE level.

Properties
Calculated total energy in eV for the cell shown: -132.70

abc: 8.846 12.795 5.917
angles: 90.00 107.80 90.00
Space group C2/c (No. 15)
One atom of each set of equivalent atoms:
Tm 0.108 0.171 0.053
Tm 0.217 0.410 0.363
Sc 0.000 0.382 0.750
Rh 0.000 0.002 0.250

4.
Below is Tm4ScRh2 after structural relaxation, with properties calculated at the GGA-PBE level.

Properties
Calculated total energy in eV for the cell shown: -84.79

abc: 7.590 6.209 7.729
angles: 90.00 112.58 90.00
Space group P2_1/m (No. 11)
One atom of each set of equivalent atoms:
Tm 0.021 0.250 0.383
Tm 0.235 0.750 0.328
Tm 0.413 0.003 0.766
Sc 0.163 0.250 0.037
Rh 0.244 0.750 0.984
Rh 0.381 0.250 0.412

Calculated size of the total moment (Bohr magnetons per cell), listed in the same order as above: 0.00 0.00 0.00 0.00
Calculated mass density (Mg/m³), listed in the same order as above: 9.92 8.43 8.58 9.15

~~~~~
*/

Specifies the index of the module. If it is set to DEBUG_ANY_ID, the Base parameter is used to specify the location of the module instead.
If Index is DEBUG_ANY_ID, specifies the location in the target's memory address space of the base of the module. Otherwise it is ignored.
Receives the name of the module. If Buffer is NULL, this information is not returned.
Specifies the size in characters of the buffer Buffer.
Receives the size in characters of the module's name. If NameSize is NULL, this information is not returned.

Return Value

The method was successful.
The method was successful. However, the size of the buffer was smaller than the size of the module's name so it was truncated to fit in the buffer.

This method may also return error values. See Return Values for more details.

== Someone pasted crystal structures at this point ==
<<<
A plane-wave DFT calculation with PBE was carried out for a relaxed structure of CsBaI3.

Cell lengths 4.8098, 5.3491, 10.2879 Å; angles 90.00, 90.76, 90.00 degrees
Positions (direct):
Cs  0.0000  0.0000  0.0000
Ba  0.5113  0.4977  0.4687
I  0.0100  0.9982  0.3961
I  0.0177  0.4996  0.7150
I  0.5037  0.4997  0.1333

Summary:
**V**: 264.7 Å³/cell
**M_tot**: 0.00 μB/cell
**E_form (uncorrected)**: -1.66 eV/atom


A plane-wave DFT calculation with PBE was carried out for a relaxed structure of CsBaI3.

Cell lengths 14.5274, 14.5274, 14.5274 Å; angles 152.52, 152.52, 39.25 degrees
Positions (direct):
Cs  0.0000  0.0000  0.0000
Cs  0.7500  0.2500  0.5000
Ba  0.1527  0.6527  0.5000
Ba  0.3473  0.8473  0.5000
I  0.3045  0.3045  0.0000
I  0.3703  0.1207  0.2497
I  0.6955  0.6955  0.0000
I  0.8710  0.1207  0.7503
I  0.8793  0.1290  0.2497
I  0.8793  0.6297  0.7503

Summary:
**V**: 651.5 Å³/cell
**M_tot**: 0.08 μB/cell
**E_form (uncorrected)**: -1.20 eV/atom


A plane-wave DFT calculation with PBE was carried out for a relaxed structure of CsBaI3.

Cell lengths 11.3219, 11.3219, 8.5378 Å; angles 90.00, 90.00, 140.39 degrees
Positions (direct):
Cs  0.1598  0.8402  0.7500
Cs  0.8402  0.1598  0.2500
Ba  0.4217  0.5783  0.7500
Ba  0.5783  0.4217  0.2500
I  0.0000  0.0000  0.0000
I  0.0000  0.0000  0.5000
I  0.0464  0.4287  0.7500
I  0.4287  0.0464  0.2500
I  0.5713  0.9536  0.7500
I  0.9536  0.5713  0.2500

Summary:
**V**: 697.8 Å³/cell
**M_tot**: 0.00 μB/cell
**E_form (uncorrected)**: -1.21 eV/atom


A plane-wave DFT calculation with PBE was carried out for a relaxed structure of CsBaI3.

Cell lengths 4.8366, 6.6520, 9.9688 Å; angles 73.57, 89.98, 68.82 degrees
Positions (direct):
Cs  0.0000  0.0000  0.0000
Ba  0.8397  0.3241  0.4329
I  0.1242  0.7574  0.4134
I  0.3297  0.3452  0.1597
I  0.4611  0.0790  0.6897

Summary:
**V**: 285.0 Å³/cell
**M_tot**: 0.00 μB/cell
**E_form (uncorrected)**: -1.66 eV/atom


A plane-wave DFT calculation with PBE was carried out for a relaxed structure of Cs3Ba2I7.

Cell lengths 16.4360, 16.4360, 6.6580 Å; angles 90.00, 90.00, 155.99 degrees
Positions (direct):
Cs  0.0000  0.0000  0.0000
Cs  0.1833  0.8167  0.0000
Cs  0.8167  0.1833  0.0000
Ba  0.3929  0.6071  0.5000
Ba  0.6071  0.3929  0.5000
I  0.1001  0.8999  0.5000
I  0.2892  0.7108  0.5000
I  0.3979  0.6021  0.0000
I  0.5000  0.5000  0.5000
I  0.6021  0.3979  0.0000
I  0.7108  0.2892  0.5000
I  0.8999  0.1001  0.5000

Summary:
**V**: 731.9 Å³/cell
**M_tot**: 0.00 μB/cell
**E_form (uncorrected)**: -1.59 eV/atom


A plane-wave DFT calculation with PBE was carried out for a relaxed structure of Cs2BaInI6.

Cell lengths 9.2119, 9.2119, 9.2248 Å; angles 119.94, 119.94, 90.00 degrees
Positions (direct):
Cs  0.2501  0.7499  0.0000
Cs  0.7499  0.2501  0.0000
Ba  0.0423  0.0423  0.5848
In  0.5438  0.5438  0.5878
I  0.3060  0.3060  0.1121
I  0.3157  0.3157  0.6112
I  0.3159  0.7956  0.6116
I  0.7842  0.7842  0.0696
I  0.7956  0.3159  0.6116
I  0.7957  0.7957  0.6119

Summary:
>>>

Interface Version

GetModuleNameString is available in IDebugSymbols2 and later versions. GetModuleNameStringWide is available in IDebugSymbols3 and later versions.


For more information about modules, see Modules.


Headers: Defined in Dbgeng.h. Include Dbgeng.h.

See Also


Build machine: CAPEBUILD